Excerpt:
+++
Record 1
Y3Ho3Tm5: optimized geometry, PBE-GGA.

Cell lengths 9.5716, 9.5716, 5.4770 Å; angles 90.00, 90.00, 120.00 degrees
Space group P-62m (No. 189)
Inequivalent atoms, fractional coordinates:
Y: 0.0000 0.7402 0.0000 (multiplicity 3)
Ho: 0.0000 0.5438 0.5000 (multiplicity 3)
Tm: 0.0000 0.3763 0.0000 (multiplicity 3)
Tm: 0.3333 0.6667 0.0000 (multiplicity 2)

energy of formation from the pure elements	0.829	eV per atom

Record 2
Pa2TeP: optimized geometry, PBE-GGA.

Cell lengths 3.546, 3.546, 7.226 Å; angles 90.00, 90.00, 90.00 degrees
Space group P4/mmm (No. 123)
Inequivalent atoms, fractional coordinates:
Pa: 0.000 0.000 0.225 (multiplicity 2)
Te: 0.500 0.500 0.500 (multiplicity 1)
P: 0.500 0.500 0.000 (multiplicity 1)

energy relative to the lowest polymorph listed for this composition	95	kJ/mol of formula units
formation energy (no corrections)	-0.78	eV/atom

Record 3
LiReNiOs: optimized geometry, PBE-GGA.

Cell lengths 5.931, 5.931, 5.931 Å; angles 90.00, 90.00, 90.00 degrees
Space group F-43m (No. 216)
Inequivalent atoms, fractional coordinates:
Li: 0.000 0.000 0.000 (multiplicity 4)
Re: 0.000 0.000 0.500 (multiplicity 4)
Ni: 0.250 0.250 0.750 (multiplicity 4)
Os: 0.250 0.250 0.250 (multiplicity 4)

energy of formation from the pure elements	0.113	eV per atom

Record 4
La2ZrAlCr: optimized geometry, PBE-GGA.

Cell lengths 5.083, 5.083, 5.001 Å; angles 90.00, 90.00, 90.00 degrees
Space group P4/mmm (No. 123)
Inequivalent atoms, fractional coordinates:
La: 0.000 0.500 0.000 (multiplicity 2)
Zr: 0.000 0.000 0.500 (multiplicity 1)
Al: 0.500 0.500 0.500 (multiplicity 1)
Cr: 0.500 0.500 0.000 (multiplicity 1)

energy of formation from the pure elements	0.522	eV per atom

* * * * *

No. 1
YMgGa2Pt4: relaxed, PBE-GGA.

Lattice parameters (Å, degrees): 4.5622 4.5622 6.5093 90.00 90.00 90.00
Space group P4/mmm (No. 123)
Unique sites:
1 Y 0.0000 0.0000 0.0000
2 Mg 0.5000 0.5000 0.5000
3 Ga 0.0000 0.0000 0.5000
4 Ga 0.5000 0.5000 0.0000
5 Pt 0.0000 0.5000 0.2717

Results
Total magnetic moment   0.0 μB/f.u.
Calculated volume   16.94 Å³/atom
Crystal system   tetragonal
E   -5.5649 eV/atom
Theoretical density   12.7 Mg/m³


No. 2
Mg4InGaNi2: relaxed, PBE-GGA.

Lattice parameters (Å, degrees): 7.6990 2.9411 18.5730 90.00 90.00 90.00
Space group Amm2 (No. 38)
Unique sites:
1 Mg 0.1868 0.0000 0.0000
2 Mg 0.1881 0.0000 0.6569
3 In 0.5000 0.0000 0.8897
4 Ga 0.5000 0.0000 0.7470
5 Ni 0.5000 0.0000 0.0249
6 Ni 0.5000 0.0000 0.6233

Results
Total magnetic moment   0.0 μB/f.u.
Calculated volume   26.28 Å³/atom
Crystal system   orthorhombic
E   -2.5470 eV/atom
Theoretical density   3.2 Mg/m³


No. 3
Ag2Sn: relaxed, PBE-GGA.

Lattice parameters (Å, degrees): 6.1329 4.3162 9.1463 90.00 90.00 90.00
Space group Pnma (No. 62)
Unique sites:
1 Ag 0.1112 0.2500 0.2487
2 Ag 0.1305 0.2500 0.5776
3 Sn 0.1433 0.2500 0.9048

Results
Calculated volume   20.18 Å³/atom
Crystal system   orthorhombic
E   -3.2015 eV/atom
Theoretical density   9.2 Mg/m³


No. 4
CdCuNiGe: relaxed, PBE-GGA.

Lattice parameters (Å, degrees): 6.2643 6.2643 6.2643 90.00 90.00 90.00
Space group F-43m (No. 216)
Unique sites:
1 Cd 0.0000 0.0000 0.0000
2 Cu 0.0000 0.0000 0.5000
3 Ni 0.2500 0.2500 0.7500
4 Ge 0.2500 0.2500 0.2500

Results
Offset from the most stable computed form   0.1708 eV per atom
Total magnetic moment   0.0 μB/f.u.
Calculated volume   15.36 Å³/atom
Crystal system   cubic
E   -3.4688 eV/atom
Theoretical density   8.3 Mg/m³


No. 5
TcIrO4: relaxed, PBE-GGA.

Lattice parameters (Å, degrees): 4.5482 3.1271 4.5620 90.00 90.55 90.00
Space group P2/m (No. 10)
Unique sites:
1 Tc 0.0000 0.0000 0.0000
2 Ir 0.5000 0.5000 0.5000
3 O 0.1952 0.5000 0.8060
4 O 0.3035 0.0000 0.3046

Results
Total magnetic moment   1.0 μB/f.u.
Calculated volume   10.81 Å³/atom
Crystal system   monoclinic
E   -7.5640 eV/atom
Theoretical density   9.1 Mg/m³


No. 6
ThPPt: relaxed, PBE-GGA.

Lattice parameters (Å, degrees): 7.8276 7.8276 3.8420 90.00 90.00 120.00
Space group P-62m (No. 189)
Unique sites:
+++

Wanted:
Quote all of the data above without altering anything.

Done:
Record 1
Y3Ho3Tm5: optimized geometry, PBE-GGA.

Cell lengths 9.5716, 9.5716, 5.4770 Å; angles 90.00, 90.00, 120.00 degrees
Space group P-62m (No. 189)
Inequivalent atoms, fractional coordinates:
Y: 0.0000 0.7402 0.0000 (multiplicity 3)
Ho: 0.0000 0.5438 0.5000 (multiplicity 3)
Tm: 0.0000 0.3763 0.0000 (multiplicity 3)
Tm: 0.3333 0.6667 0.0000 (multiplicity 2)

energy of formation from the pure elements	0.829	eV per atom

Record 2
Pa2TeP: optimized geometry, PBE-GGA.

Cell lengths 3.546, 3.546, 7.226 Å; angles 90.00, 90.00, 90.00 degrees
Space group P4/mmm (No. 123)
Inequivalent atoms, fractional coordinates:
Pa: 0.000 0.000 0.225 (multiplicity 2)
Te: 0.500 0.500 0.500 (multiplicity 1)
P: 0.500 0.500 0.000 (multiplicity 1)

energy relative to the lowest polymorph listed for this composition	95	kJ/mol of formula units
formation energy (no corrections)	-0.78	eV/atom

Record 3
LiReNiOs: optimized geometry, PBE-GGA.

Cell lengths 5.931, 5.931, 5.931 Å; angles 90.00, 90.00, 90.00 degrees
Space group F-43m (No. 216)
Inequivalent atoms, fractional coordinates:
Li: 0.000 0.000 0.000 (multiplicity 4)
Re: 0.000 0.000 0.500 (multiplicity 4)
Ni: 0.250 0.250 0.750 (multiplicity 4)
Os: 0.250 0.250 0.250 (multiplicity 4)

energy of formation from the pure elements	0.113	eV per atom

Record 4
La2ZrAlCr: optimized geometry, PBE-GGA.

Cell lengths 5.083, 5.083, 5.001 Å; angles 90.00, 90.00, 90.00 degrees
Space group P4/mmm (No. 123)
Inequivalent atoms, fractional coordinates:
La: 0.000 0.500 0.000 (multiplicity 2)
Zr: 0.000 0.000 0.500 (multiplicity 1)
Al: 0.500 0.500 0.500 (multiplicity 1)
Cr: 0.500 0.500 0.000 (multiplicity 1)

energy of formation from the pure elements	0.522	eV per atom

* * * * *

No. 1
YMgGa2Pt4: relaxed, PBE-GGA.

Lattice parameters (Å, degrees): 4.5622 4.5622 6.5093 90.00 90.00 90.00
Space group P4/mmm (No. 123)
Unique sites:
1 Y 0.0000 0.0000 0.0000
2 Mg 0.5000 0.5000 0.5000
3 Ga 0.0000 0.0000 0.5000
4 Ga 0.5000 0.5000 0.0000
5 Pt 0.0000 0.5000 0.2717

Results
Total magnetic moment   0.0 μB/f.u.
Calculated volume   16.94 Å³/atom
Crystal system   tetragonal
E   -5.5649 eV/atom
Theoretical density   12.7 Mg/m³


No. 2
Mg4InGaNi2: relaxed, PBE-GGA.

Lattice parameters (Å, degrees): 7.6990 2.9411 18.5730 90.00 90.00 90.00
Space group Amm2 (No. 38)
Unique sites:
1 Mg 0.1868 0.0000 0.0000
2 Mg 0.1881 0.0000 0.6569
3 In 0.5000 0.0000 0.8897
4 Ga 0.5000 0.0000 0.7470
5 Ni 0.5000 0.0000 0.0249
6 Ni 0.5000 0.0000 0.6233

Results
Total magnetic moment   0.0 μB/f.u.
Calculated volume   26.28 Å³/atom
Crystal system   orthorhombic
E   -2.5470 eV/atom
Theoretical density   3.2 Mg/m³


No. 3
Ag2Sn: relaxed, PBE-GGA.

Lattice parameters (Å, degrees): 6.1329 4.3162 9.1463 90.00 90.00 90.00
Space group Pnma (No. 62)
Unique sites:
1 Ag 0.1112 0.2500 0.2487
2 Ag 0.1305 0.2500 0.5776
3 Sn 0.1433 0.2500 0.9048

Results
Calculated volume   20.18 Å³/atom
Crystal system   orthorhombic
E   -3.2015 eV/atom
Theoretical density   9.2 Mg/m³


No. 4
CdCuNiGe: relaxed, PBE-GGA.

Lattice parameters (Å, degrees): 6.2643 6.2643 6.2643 90.00 90.00 90.00
Space group F-43m (No. 216)
Unique sites:
1 Cd 0.0000 0.0000 0.0000
2 Cu 0.0000 0.0000 0.5000
3 Ni 0.2500 0.2500 0.7500
4 Ge 0.2500 0.2500 0.2500

Results
Offset from the most stable computed form   0.1708 eV per atom
Total magnetic moment   0.0 μB/f.u.
Calculated volume   15.36 Å³/atom
Crystal system   cubic
E   -3.4688 eV/atom
Theoretical density   8.3 Mg/m³


No. 5
TcIrO4: relaxed, PBE-GGA.

Lattice parameters (Å, degrees): 4.5482 3.1271 4.5620 90.00 90.55 90.00
Space group P2/m (No. 10)
Unique sites:
1 Tc 0.0000 0.0000 0.0000
2 Ir 0.5000 0.5000 0.5000
3 O 0.1952 0.5000 0.8060
4 O 0.3035 0.0000 0.3046

Results
Total magnetic moment   1.0 μB/f.u.
Calculated volume   10.81 Å³/atom
Crystal system   monoclinic
E   -7.5640 eV/atom
Theoretical density   9.1 Mg/m³


No. 6
ThPPt: relaxed, PBE-GGA.

Lattice parameters (Å, degrees): 7.8276 7.8276 3.8420 90.00 90.00 120.00
Space group P-62m (No. 189)
Unique sites: